Preparing for Hygiene Risks in a Survival Situation

== Someone pasted quantum chemistry results at this point ==
/*
Record 1
ORCA calculation (ωB97M-V/def2-TZVPD) on a molecular structure, C4H7N3O at a distorted geometry.

For the orbital gap, the calculation gives 6.8602 eV. As for the total charge: 0. The calculation puts the relative energy (zero: lowest compared OMol25 entry of this formula, charge and spin) at 233.7 kcal per mole. Its HOMO energy is -7.053 eV.

Each line ends with the Löwdin charge.
Cartesian coordinates (Å):
C: -1.19 -1.16 1.32  -0.116
C: -0.41 -0.47 0.22  -0.438
C: 1.58 0.65 -0.51  -0.533
C: -0.67 0.56 -0.66  -0.388
H: -2.42 -1.76 0.51  0.174
H: -1.58 -0.47 2.49  0.142
H: -0.05 -2.38 1.92  0.162
H: 1.62 -1.57 0.64  0.278
H: 3.50 0.61 -0.40  0.104
H: 0.29 2.27 -1.53  0.205
H: -2.71 0.55 -1.57  0.236
N: 1.00 -0.42 0.19  0.023
N: 2.63 1.23 -0.69  0.088
N: 0.38 1.28 -1.09  0.139
O: -1.97 1.09 -0.87  -0.076



Record 2
ORCA calculation (ωB97M-V/def2-TZVPD) on 2 unconnected molecules or ions with the total composition C2H6N2S at a distorted geometry.

For the orbital gap, the calculation gives 8.7861 eV. As for the total charge: 0. The calculation puts the relative energy (zero: lowest compared OMol25 entry of this formula, charge and spin) at 89.7 kcal per mole. Its HOMO energy is -8.283 eV.

Each line ends with the Löwdin charge.
Cartesian coordinates (Å):
C: 0.19 -0.23 -0.38  -0.590
C: 1.92 1.16 -0.48  0.043
N: -0.17 -0.79 -1.43  0.082
N: -2.00 -0.88 1.14  -0.333
S: -0.53 0.16 1.20  0.785
H: 2.08 0.55 -1.43  0.037
H: 1.55 2.11 -0.56  -0.029
H: 2.55 0.90 0.31  -0.025
H: -0.91 -1.30 -1.65  -0.011
H: -1.84 -1.47 1.94  -0.015
H: -2.84 -0.22 1.34  0.056



Record 3
ORCA calculation (ωB97M-V/def2-TZVPD) on a molecular structure, C20H18BCoF4N10Sb.

The expectation value of S² is 0.758. For the orbital gap (alpha / beta), the calculation gives 8.0555 / 8.0074 eV. As for the spin multiplicity: 2. As for the total charge: -2. The calculation puts the relative energy (zero: lowest compared OMol25 entry of this formula, charge and spin) at 0.0 kcal per mole. Its HOMO energy (alpha / beta) is -3.766 / -3.716 eV.

Each line ends with the Löwdin charge.
Cartesian coordinates (Å):
Co: -0.84 0.19 0.09  0.129
C: -3.03 -0.75 -3.16  -0.315
Sb: -2.69 0.71 -1.63  1.417
C: -4.64 0.73 -0.78  -0.312
C: -2.84 2.45 -2.85  -0.294
H: -3.96 -0.53 -3.69  -0.003
H: -3.09 -1.74 -2.70  -0.006
H: -2.20 -0.74 -3.86  -0.001
H: -5.38 0.86 -1.57  -0.002
H: -4.71 1.54 -0.06  -0.004
H: -4.81 -0.21 -0.26  0.008
H: -3.72 2.39 -3.48  0.001
H: -1.94 2.53 -3.45  0.003
H: -2.88 3.32 -2.20  0.014
N: 1.40 -2.56 -3.91  0.119
C: 1.48 -1.46 -3.09  -0.365
C: 0.47 -1.21 -2.15  -0.061
N: 0.52 -0.17 -1.33  -0.019
C: 1.55 0.68 -1.46  -0.101
C: 2.51 0.44 -2.42  -0.098
N: 2.50 -0.62 -3.23  0.119
H: 0.92 -3.37 -3.54  0.021
H: 2.27 -2.76 -4.37  0.083
H: -0.38 -1.88 -2.06  0.078
H: 1.59 1.53 -0.80  0.100
H: 3.32 1.15 -2.55  0.111
N: 6.47 -0.94 6.73  0.117
C: 5.61 -0.81 5.97  -0.211
C: 4.55 -0.64 5.03  -0.261
C: 4.53 0.47 4.18  -0.043
C: 3.51 0.63 3.27  -0.025
C: 2.47 -0.31 3.17  -0.248
*/
We’ve all seen the news stories about the aftermath of a disaster. A major hurricane, flood, earthquake, tsunami, or other disaster leaves an area devastated. In some cases, hygiene risks are astronomical. People die from infectious diseases or from injuries that are not treated properly. So why do so many survival websites or print materials help folks prepare for issues with the loss of electricity, medicines, and basic infrastructures, but often skirt the problems associated with personal hygiene? Let’s face it, there’s nothing inspiring about reading about (and preparing for) such topics as human waste. But let’s do it anyway!
First of all, in a survival situation a personal toilet is a must. Also called a portable or travel toilet, these devices can be purchased through Amazon or at Home Depot or most major sporting goods stores. There are many varieties of personal toilets, so shop around for one that works best for you. A personal toilet can be invaluable in the event that plumbing and sewage treatment is no longer available.
Make sure to have plenty of supplies to go along with your emergency toilet. Toilet paper is quite obvious, but also keep on hand lots of sturdy plastic bags to store the waste, as well as disposable plastic gloves and bleach for cleaning the toilet.
~~~
[1]
Formula: C18H29CaN4O7S2
Source: the OMol25 dataset
Level of theory: the ωB97M-V functional and the def2-TZVPD basis

Geometry (Å):
Ca (0.076, -0.072, -0.094)
C (1.091, 3.053, -1.141)
C (0.386, 2.509, -2.349)
O (0.462, 1.047, -2.398)
C (1.452, 0.375, -3.217)
C (2.643, -0.008, -2.410)
O (2.283, -0.558, -1.105)
C (3.426, -0.497, -0.231)
C (3.052, -0.502, 1.221)
O (1.908, 0.368, 1.473)
C (2.328, 1.750, 1.599)
C (1.207, 2.709, 1.272)
O (0.543, 2.393, 0.021)
H (0.893, 4.145, -1.071)
H (2.186, 2.908, -1.208)
H (0.848, 2.947, -3.237)
H (-0.691, 2.732, -2.287)
H (1.797, 1.033, -4.022)
H (0.943, -0.491, -3.669)
H (3.287, 0.892, -2.291)
H (3.215, -0.747, -2.972)
H (4.065, 0.401, -0.443)
H (4.061, -1.364, -0.427)
H (3.883, -0.205, 1.857)
H (2.769, -1.497, 1.592)
H (3.202, 1.938, 0.962)
H (2.653, 1.914, 2.640)
H (1.643, 3.704, 1.188)
H (0.438, 2.725, 2.052)
N (0.135, -1.785, 3.416)
C (0.255, -2.644, 2.360)
N (-0.044, -2.303, 1.105)
C (-0.101, -3.448, 0.291)
C (0.313, -4.605, 0.951)
S (0.655, -4.337, 2.612)
C (-0.604, -3.321, -1.034)
C (-0.666, -4.243, -2.092)
S (-1.312, -3.591, -3.524)
C (-1.684, -2.108, -2.589)
N (-1.171, -2.075, -1.354)
N (-2.417, -1.090, -3.086)
H (0.255, -0.803, 3.196)
H (0.408, -2.067, 4.339)
H (0.320, -5.622, 0.534)
H (-0.361, -5.292, -2.045)
H (-2.832, -1.129, -4.023)
H (-2.449, -0.267, -2.467)
C (-3.024, 2.512, 2.168)
C (-2.934, 1.145, 1.499)
C (-3.980, 0.194, 2.051)
O (-1.568, 0.585, 1.559)
C (-3.171, 1.334, -0.041)
O (-4.276, 1.848, -0.232)
O (-2.216, 0.989, -0.788)
H (-2.833, 2.481, 3.254)
H (-4.078, 2.845, 2.028)
H (-2.360, 3.226, 1.712)
H (-3.877, 0.096, 3.129)
H (-3.912, -0.791, 1.581)
H (-4.978, 0.640, 1.827)
H (-1.543, 0.025, 2.358)

For the LUMO energy, the calculation gives -2.282 eV. As for the total energy: -2922.9247 Eh. Its charge is +1. For the frontier orbital gap, the calculation gives 7.87 eV.

***

[2]
Formula: C18H29F3MgN4O4PS3
Source: the OMol25 dataset
Level of theory: the ωB97M-V functional and the def2-TZVPD basis

Geometry (Å):
Mg (0.067, 0.582, 0.141)
F (4.487, -1.290, 2.588)
C (4.102, -0.243, 3.332)
F (4.555, -0.487, 4.588)
F (4.776, 0.831, 2.896)
C (2.608, -0.041, 3.319)
C (1.904, -0.187, 4.493)
C (0.520, -0.036, 4.517)
C (-0.096, 0.250, 3.322)
N (0.567, 0.398, 2.177)
C (1.921, 0.259, 2.116)
S (2.626, 0.434, 0.546)
H (2.438, -0.428, 5.401)
H (-0.051, -0.153, 5.426)
H (-1.173, 0.355, 3.250)
N (0.256, 0.020, -1.936)
C (0.532, 1.171, -2.824)
C (-0.497, 2.289, -2.659)
C (-0.410, 3.090, -1.351)
O (-0.423, 4.312, -1.415)
O (-0.345, 2.385, -0.278)
H (1.012, -0.658, -1.939)
H (-0.565, -0.501, -2.231)
H (0.560, 0.854, -3.868)
H (1.528, 1.542, -2.573)
H (-1.501, 1.852, -2.725)
H (-0.398, 2.994, -3.484)
C (-5.322, 0.759, -0.352)
N (-4.409, -0.315, 0.011)
C (-4.807, -1.710, -0.182)
C (-3.145, -0.061, 0.272)
N (-2.011, 0.071, 0.427)
H (-6.228, 0.694, 0.253)
H (-5.591, 0.687, -1.408)
H (-4.843, 1.717, -0.171)
H (-5.646, -1.949, 0.471)
H (-3.964, -2.358, 0.050)
H (-5.094, -1.877, -1.222)
C (1.183, -4.011, 2.917)
~~~
Second, let’s talk trash. If you can’t leave your trash at the curbside for a disposal truck to pick up, what should you do? Stockpile plenty of trash bags. Honestly, you can never have too many of these things. Dig a nice big pit to bury your trash bags. Another option is to burn your trash. When burning your trash, it is wise to wear a surgical mask.
Finally, let’s discuss the neighbors. If you are living in a community, you may not be able to count on your neighbors to be as careful with their personal waste or their trash as you are. There are a few things you can do to protect yourself in these situations. If an outbreak of infectious disease occurs, have an alternate place to live (in a tent, if necessary) until the illness has run its course in your community. You’ll also want to stockpile isopropyl alcohol, hydrogen peroxide, bleach, and hand sanitizer. Make sure your first aid kit includes antibiotics and antibiotic ointments. Keep plenty of disposable gloves and some surgical masks on hand.
So be realistic, accept that planning for your personal hygiene in a survival situation is just as important as having a reliable generator or plenty of canned goods. Buy yourself a nice new toilet!